Thursday, March 18, 2010

30 weeks

It's hard to believe I'm this far along already. This pregnancy seems to be flying by! I'm getting a little more uncomfortable each day, but I guess that's to be expected at this stage of a pregnancy! I decided I better make sure I have at least one pregnant belly shot--something for the baby book before I feel like I'm really huge! They are timer shots, so only slightly awkward!

All of my doctor's appointments have been quick and routine. Just what I like at this stage! Beginning in April, I'll switch to every two weeks and then every week in May.

This baby is a busy one--I don't remember either of the boys being this busy, so I don't know if that indicates a different gender this time around or a busy boy! I'm getting really excited to find out! Micah has started referring to the baby as "she" all the time. Ethan is still sure that the only possibility is another brother. I've had a few complete strangers tell me I'm having a girl. Again, I can't wait to find out the gender! Mostly, I'm just excited to meet this new little one!

Tuesday, March 9, 2010


Now that it's March, Spring seems so close! Especially with all of the sunny days we've had lately. Even though the last thing on my mind is snow, I wanted to make sure that I posted pictures of the snowmen that the boys created this year.

Ethan made his snowman one evening all by himself. He was so proud of it! He collected rocks from around the yard for most of his decorating.

I had to make sure I took a close up picture of the snowman because he pointed out to me that the snowman was missing a tooth just like he was! He cracks me up with the details that he thinks about!

After the last big snowfall both boys played outside and worked together to make what may be the last snowman of the season. I was at work that day, but Jason sent me a picture so I could see what the boys had been up to (they would literally play outside together for hours!).

I'm not 100% sure of what they used to decorate it this time, but it looks to me like they found sidewalk chalk and went to town. :) They were very proud of their creation!

Monday, March 8, 2010


Although this happened way back at the end of December, I wanted to make sure I still posted about it. Ethan lost his first tooth! He had two teeth that were VERY loose--they were so ready to come out that the two new teeth were already growing in behind them! We tried to convince him that we should just pull it out (well, Jason did more than me--loose teeth gross me out!) but he wanted nothing to do with that. He wiggled that tooth until it was practically dangling in his mouth. Thankfully, one evening he decided to just pop it out!

Here's the "toothless" grin!

Materials data that have nothing to do with the piece:
~~~
(1)
First-principles (PBE with a Hubbard U) data for crystalline ZnCrH28C6N12Cl5O8 at its relaxed geometry, as listed in the Materials Project.

Calculated values
Calculated volume, A^3/atom: 11.56
Formation enthalpy at 0 K, meV per atom: -749
Total energy after the MP2020 corrections, eV/atom: -5.833

Geometry as CIF:
```
data_ZnCrH28C6N12Cl5O8
_chemical_formula_sum 'Zn2 Cr2 H56 C12 N24 Cl10 O16'
_cell_length_a 10.738
_cell_length_b 11.007
_cell_length_c 13.410
_cell_angle_alpha 101.52
_cell_angle_beta 101.63
_cell_angle_gamma 108.61
_symmetry_space_group_name_H-M 'P 1'
_symmetry_Int_Tables_number 1
loop_
_symmetry_equiv_pos_as_xyz
'x,y,z'
loop_
_atom_site_label
_atom_site_type_symbol
_atom_site_fract_x
_atom_site_fract_y
_atom_site_fract_z
Zn1 Zn 0.093 0.302 0.330
Zn2 Zn 0.907 0.698 0.670
Cr1 Cr 0.460 0.957 0.238
Cr2 Cr 0.540 0.043 0.762
H1 H 0.024 0.834 0.350
H2 H 0.049 0.684 0.915
H3 H 0.083 0.902 0.998
H4 H 0.098 0.668 0.275
H5 H 0.120 0.002 0.366
H6 H 0.123 0.375 0.626
H7 H 0.147 0.022 0.798
H8 H 0.170 0.740 0.544
H9 H 0.172 0.617 0.958
H10 H 0.184 0.184 0.875
H11 H 0.186 0.368 0.739
H12 H 0.226 0.619 0.482
H13 H 0.229 0.176 0.597
H14 H 0.230 0.407 0.153
H15 H 0.231 0.001 0.104
H16 H 0.256 0.714 0.250
H17 H 0.277 0.495 0.079
H18 H 0.283 0.676 0.818
H19 H 0.285 0.044 0.607
H20 H 0.321 0.843 0.813
H21 H 0.369 0.291 0.164
H22 H 0.407 0.393 0.624
H23 H 0.411 0.338 0.924
H24 H 0.421 0.168 0.394
H25 H 0.438 0.575 0.280
H26 H 0.458 0.726 0.082
H27 H 0.470 0.668 0.532
H28 H 0.477 0.607 0.854
H29 H 0.523 0.393 0.146
H30 H 0.530 0.332 0.468
H31 H 0.542 0.274 0.918
H32 H 0.562 0.425 0.720
H33 H 0.579 0.832 0.606
H34 H 0.589 0.662 0.076
H35 H 0.593 0.607 0.376
H36 H 0.631 0.709 0.836
H37 H 0.679 0.157 0.187
H38 H 0.715 0.956 0.393
H39 H 0.717 0.324 0.182
H40 H 0.723 0.505 0.921
H41 H 0.744 0.286 0.750
H42 H 0.769 0.999 0.896
H43 H 0.770 0.593 0.847
H44 H 0.771 0.824 0.403
H45 H 0.774 0.381 0.518
H46 H 0.814 0.632 0.261
H47 H 0.816 0.816 0.125
H48 H 0.828 0.383 0.042
H49 H 0.830 0.260 0.456
H50 H 0.853 0.978 0.202
H51 H 0.877 0.625 0.374
H52 H 0.880 0.998 0.634
H53 H 0.902 0.332 0.725
H54 H 0.917 0.098 0.002
H55 H 0.951 0.316 0.085
H56 H 0.976 0.166 0.650
C1 C 0.202 0.870 0.306
C2 C 0.213 0.809 0.043
C3 C 0.349 0.135 0.863
C4 C 0.376 0.798 0.577
C5 C 0.436 0.230 0.662
C6 C 0.482 0.785 0.824
C7 C 0.518 0.215 0.176
C8 C 0.564 0.770 0.338
C9 C 0.624 0.202 0.423
C10 C 0.651 0.865 0.137
C11 C 0.787 0.191 0.957
C12 C 0.798 0.130 0.694
N1 N 0.110 0.905 0.346
N2 N 0.136 0.693 0.969
N3 N 0.168 0.910 0.052
N4 N 0.179 0.741 0.267
N5 N 0.215 0.107 0.855
N6 N 0.247 0.714 0.525
N7 N 0.308 0.142 0.611
N8 N 0.351 0.765 0.819
N9 N 0.441 0.258 0.911
N10 N 0.469 0.360 0.669
N11 N 0.470 0.313 0.168
N12 N 0.483 0.762 0.570
N13 N 0.517 0.238 0.430
N14 N 0.530 0.687 0.832
N15 N 0.531 0.640 0.331
N16 N 0.559 0.742 0.089
N17 N 0.649 0.235 0.181
N18 N 0.692 0.858 0.389
N19 N 0.753 0.286 0.475
N20 N 0.785 0.893 0.145
N21 N 0.821 0.259 0.733
N22 N 0.832 0.090 0.948
~~~

His second loose tooth stayed in his mouth only a little while after he pulled the first one out. He actually popped the second one out in school. He was so proud, and he really enjoyed his visits from the tooth fairy!